Wanted >
The reader should say how many lines of the rows further below hold the word "Structure", as a bare number.
File >
=====
1.
This entry pairs a crystal structure of NpTiSe2O with its theoretical powder XRD pattern. Radiation: Cu Kα, 1.54184 Å. Structure: a cell relaxed with GGA-PBE.
Intensities are scaled so that the largest is 100.

Structure:
Cell lengths 3.7418, 3.7418, 13.2327 Å; angles 90.00, 90.00, 90.00 degrees
Space group P4/nmm (No. 129, origin choice 2)
One atom of each set of equivalent atoms:
Np (0.2500, 0.2500, 0.0997)
Ti (0.2500, 0.2500, 0.5828)
Se (0.2500, 0.2500, 0.3886)
Se (0.2500, 0.2500, 0.7890)
O (0.2500, 0.7500, 0.0000)

Top 10 peaks for 10 to 90 degrees two-theta, most intense first:
2.853 Å, 2θ = 31.35°, rel. 100; 2.646 Å, 2θ = 33.88°, rel. 80; 2.478 Å, 2θ = 36.25°, rel. 36; 1.871 Å, 2θ = 48.67°, rel. 35; 1.565 Å, 2θ = 59.04°, rel. 35; 3.257 Å, 2θ = 27.38°, rel. 32; 2.066 Å, 2θ = 43.81°, rel. 29; 1.183 Å, 2θ = 81.30°, rel. 23; 1.694 Å, 2θ = 54.14°, rel. 21; 3.308 Å, 2θ = 26.95°, rel. 20



2.
This entry pairs a crystal structure of YNpSeO2 with its theoretical powder XRD pattern. Radiation: Cu Kα, 1.54184 Å. Structure: a cell relaxed with GGA-PBE.
Intensities are scaled so that the largest is 100.

Structure:
Cell lengths 3.8364, 3.8364, 12.2042 Å; angles 90.00, 90.00, 90.00 degrees
Space group I4mm (No. 107)
One atom of each set of equivalent atoms:
Y (0.0000, 0.0000, 0.0000)
Np (0.0000, 0.0000, 0.3000)
Se (0.0000, 0.0000, 0.6530)
O (0.0000, 0.5000, 0.4045)

Top 10 peaks for 10 to 90 degrees two-theta, most intense first:
2.791 Å, 2θ = 32.07°, rel. 100; 2.713 Å, 2θ = 33.02°, rel. 42; 1.581 Å, 2θ = 58.37°, rel. 37; 3.660 Å, 2θ = 24.32°, rel. 32; 6.102 Å, 2θ = 14.52°, rel. 22; 1.918 Å, 2θ = 47.39°, rel. 21; 1.627 Å, 2θ = 56.55°, rel. 19; 2.027 Å, 2θ = 44.70°, rel. 14; 2.479 Å, 2θ = 36.24°, rel. 9; 1.220 Å, 2θ = 78.38°, rel. 9



3.
This entry pairs a crystal structure of Sm2Np2O7 with its theoretical powder XRD pattern. Radiation: Cu Kα, 1.54184 Å. Structure: a cell relaxed with GGA-PBE.
Intensities are scaled so that the largest is 100.

Structure:
Cell lengths 10.9382, 10.9382, 10.9382 Å; angles 90.00, 90.00, 90.00 degrees
Space group Fd-3m (No. 227, origin choice 2)
One atom of each set of equivalent atoms:
Sm (0.0000, 0.0000, 0.0000)
Np (0.0000, 0.0000, 0.5000)
O (0.0996, 0.3750, 0.8750)
O (0.1250, 0.1250, 0.1250)

Top 10 peaks for 10 to 90 degrees two-theta, most intense first:
3.158 Å, 2θ = 28.26°, rel. 100; 1.934 Å, 2θ = 46.99°, rel. 48; 1.649 Å, 2θ = 55.75°, rel. 46; 2.735 Å, 2θ = 32.75°, rel. 37; 1.255 Å, 2θ = 75.82°, rel. 19; 1.116 Å, 2θ = 87.35°, rel. 16; 1.223 Å, 2θ = 78.16°, rel. 15; 1.579 Å, 2θ = 58.46°, rel. 11; 1.367 Å, 2θ = 68.64°, rel. 7; 3.298 Å, 2θ = 27.04°, rel. 5



4.
This entry pairs a crystal structure of SmNp2O11 with its theoretical powder XRD pattern. Radiation: Cu Kα, 1.54184 Å. Structure: a cell relaxed with GGA-PBE.
Intensities are scaled so that the largest is 100.

Structure:
Cell lengths 7.6131, 8.2813, 8.3422 Å; angles 93.27, 103.55, 103.90 degrees
Space group P1 (No. 1)
One atom of each set of equivalent atoms:
Sm (0.0000, 0.0000, 0.0000)
Sm (0.4279, 0.6710, 0.3930)
Np (0.4258, 0.1745, 0.4051)
Np (0.4594, 0.6677, 0.9015)
Np (0.9440, 0.0167, 0.4952)
Np (0.9439, 0.4901, 0.0316)
O (0.0083, 0.7270, 0.0533)
O (0.1047, 0.8189, 0.6136)
O (0.1525, 0.5061, 0.2158)
O (0.1652, 0.1865, 0.5111)
O (0.2227, 0.5229, 0.8902)
O (0.2665, 0.9106, 0.7212)
O (0.2691, 0.8878, 0.8842)
O (0.2802, 0.1565, 0.1810)
O (0.3654, 0.9313, 0.3818)
O (0.4134, 0.6367, 0.6668)
O (0.4931, 0.4137, 0.4194)
O (0.5102, 0.6879, 0.1357)
O (0.5486, 0.1807, 0.6212)
O (0.6767, 0.8425, 0.9141)
O (0.7033, 0.4945, 0.9071)
O (0.7311, 0.8370, 0.4799)
O (0.7540, 0.2074, 0.3908)
O (0.7662, 0.4275, 0.2396)
O (0.8642, 0.3563, 0.3551)
O (0.9039, 0.2547, 0.0010)
O (0.9277, 0.9700, 0.2667)
O (0.9647, 0.0686, 0.7252)

Top 10 peaks for 10 to 90 degrees two-theta, most intense first:
=====
Done >
8